"We'll never again turn into bats and harass the tourists around the Brooklyn Bridge. Jessie had such a sense of humor. She used to love hearing the tourists scream when she got tangled in their hair," Natasha continued, her litany of regrets growing.
Monster memories, how sweet, Sam thought snidely. Jessie's humor sounded a little twisted. Messing up people's hair was just plain rude, especially since tourists didn't have their regular hairdressers to help them!
Turning her face to Prince Varinski, Natasha spoke: "Now tell me, who killed my little sister?" Her voice was devoid of any humanity, causing Sam to shiver in her chair by the fireplace.
"A Meduse—a gorgon," Petroff answered somberly.
"A Meduse? I thought the term was Medusa?" Boris said, his tone doubtful.
Nic answered this time. "The Medusas were from Greece originally. They're also known as the three gorgons, cursed by Athena because the youngest sister had an affair with Athena's lover, Poseidon. What's not commonly known is that they had a brother, who also was cursed. His name, Meduse."
"But I thought Medusas were all hideously ugly, with snakes for hair," Natasha said; then she resolutely shook her head. "You're wrong. Jessie wouldn't be caught dead with anyone even average-looking."
== Between two parts of the piece: crystal structures ==
Computed, not measured: an optimized crystal structure of Na3HfScSi2SO12 at the PBE-GGA level of DFT.

Unit cell a=9.1433 b=9.1433 c=22.7171 alpha=89.69 beta=90.31 gamma=120.08
Atoms (fractional coordinates):
Na 0.9958 0.6455 0.2442
Na 0.6709 0.3636 0.8280
Na 0.6292 0.9989 0.2425
Na 0.3030 0.6625 0.6613
Na 0.0212 0.3375 0.0775
Na 0.3375 0.6970 0.1613
Na 0.0042 0.0303 0.4946
Na 0.3291 0.3121 0.9109
Na 0.6364 0.3291 0.3280
Na 0.6678 0.7041 0.0758
Na 0.2959 0.3322 0.5758
Na 0.0011 0.3708 0.7425
Na 0.3345 0.0375 0.4091
Na 0.9697 0.9958 0.9946
Na 0.3545 0.0042 0.7442
Na 0.6625 0.9788 0.5775
Na 0.6879 0.6709 0.4109
Na 0.9625 0.6655 0.9091
O 0.2033 0.1768 0.8096
O 0.5156 0.3695 0.4221
O 0.5077 0.8705 0.3601
O 0.8370 0.3118 0.5309
O 0.6402 0.1445 0.4220
O 0.5036 0.6451 0.8642
O 0.5367 0.8435 0.4763
O 0.9832 0.1873 0.3004
O 0.2101 0.0189 0.3136
O 0.1978 0.1816 0.0889
O 0.8645 0.5149 0.4223
O 0.0268 0.2204 0.1942
O 0.6935 0.5537 0.5275
O 0.8700 0.5101 0.1430
O 0.8184 0.8022 0.5889
O 0.1129 0.6398 0.3609
O 0.7961 0.8256 0.1935
O 0.1744 0.2039 0.6935
O 0.8555 0.3598 0.9220
O 0.2972 0.8178 0.2554
O 0.1778 0.1775 0.4140
O 0.1558 0.4889 0.5806
O 0.3612 0.8524 0.5786
O 0.3166 0.8539 0.9671
O 0.1888 0.0265 0.5887
O 0.6305 0.4844 0.9221
O 0.4809 0.3054 0.7453
O 0.4899 0.1300 0.6430
O 0.3549 0.4964 0.3642
O 0.1461 0.6834 0.4671
O 0.6478 0.1232 0.1469
O 0.6882 0.1630 0.0309
O 0.8444 0.5108 0.7473
O 0.9811 0.7899 0.8136
O 0.3069 0.4778 0.7553
O 0.8768 0.3522 0.6469
O 0.5111 0.8442 0.0806
O 0.3570 0.4843 0.0797
O 0.8225 0.8222 0.9140
O 0.1703 0.9785 0.1976
O 0.0215 0.8297 0.6976
O 0.3602 0.8871 0.8609
O 0.7796 0.9732 0.6942
O 0.9735 0.8112 0.0887
O 0.8411 0.5372 0.0268
O 0.6499 0.5206 0.6338
O 0.1476 0.6388 0.0786
O 0.0237 0.8176 0.4131
O 0.3144 0.4566 0.4802
O 0.1565 0.4633 0.9763
O 0.4794 0.3501 0.1338
O 0.1824 0.9763 0.9131
O 0.5311 0.8482 0.7556
O 0.8489 0.0361 0.0888
O 0.1518 0.4689 0.2556
O 0.6904 0.1510 0.7464
O 0.9639 0.1511 0.5888
O 0.4463 0.3065 0.0275
O 0.6946 0.5191 0.2453
O 0.4851 0.1355 0.9223
O 0.1295 0.4923 0.8601
O 0.5157 0.6430 0.5797
O 0.8490 0.3096 0.2464
O 0.0279 0.1857 0.9120
O 0.4892 0.1556 0.2473
O 0.8232 0.7967 0.3096
O 0.8143 0.9721 0.4120
O 0.1822 0.7028 0.7554
O 0.4628 0.1589 0.5268
O 0.5434 0.6856 0.9802
O 0.5222 0.6931 0.2553
O 0.8127 0.0168 0.8004
Sc 0.3391 0.6728 0.0189
Sc 0.0058 0.0061 0.3522
Sc 0.6725 0.3394 0.6856
Sc 0.6606 0.3275 0.1856
Sc 0.3272 0.6609 0.5189
Sc 0.9939 0.9942 0.8522
Hf 0.6629 0.3170 0.4805
Hf 0.9962 0.9836 0.1472
Hf 0.0164 0.0038 0.6472
Hf 0.3295 0.6503 0.8138
Hf 0.3497 0.6705 0.3138
Hf 0.6830 0.3371 0.9805
S 0.0038 0.2941 0.2492
S 0.3726 0.3295 0.0826
S 0.3372 0.9607 0.9159
S 0.6705 0.6274 0.5826
S 0.0393 0.6628 0.4159
S 0.7059 0.9962 0.7492
Si 0.6288 0.6670 0.9204
Si 0.3330 0.3712 0.4204
Si 0.2979 0.2920 0.7522
Si 0.3746 0.0354 0.5855
Si 0.7080 0.7021 0.2522
Si 0.6663 0.0378 0.0871
Si 0.0413 0.3687 0.9188
Si 0.9622 0.3337 0.5871
Si 0.9997 0.7045 0.7537
Si 0.9646 0.6254 0.0855
Si 0.6313 0.9587 0.4188
== Here the piece continues ==
What a fractured fairy tale, Sam mused wryly. And what shallow bloodsuckers. "The oldest recorded versions state that the gorgons were all very attractive people, and that they would only turn into snake-headed creatures with red bulging eyes and long claws when their emotions were aroused. It's the venom from the bite of the snake that causes a person to turn to stone."
"That's mythology! These creatures weren't ever real then, were they?" Forest asked. Her tone was dismissive, her face conveying her scorn.
Nic broke in. "As real as you and me. There were sightings and deaths attributed to the gorgons until the thirteenth century. Then history goes quiet. I thought, like everyone else, that the gorgons were extinct. Not any longer."
"I thought so too," Sam threw in. It earned a smile from Nic, a smile Forest took exception to. She ran her fingers up and down his silken sleeve, her long red fingernails making a slight scratching noise on the fabric. Sam wanted to punch her lights out, or at least find an ax to chop her down to size.
She said instead; "The evidence doesn't lie. And unless I miss my guess, we have a serial stoner here. Have you heard of any similar deaths?" Inside she was seething. She knew a stone-dead woman when she saw one, and also knew that no black magic was involved. First Nic had unfairly questioned her professionalism, and now this half-dressed bimbo bloodsucker was questioning her Bustin' ability. Sam was used to her word being taken for granted. She'd years of experience and was considered an expert by everybody who counted.
Natasha glanced at Ripley, who shook his head. Boris answered: "No, we've heard of nothing suspicious in this way, no deaths where people are turned to rock."
"On the jet, Ripley explained that Jessie was dating somebody special. But Ripley didn't know his name," Nic mentioned, his gray eyes probing.
"Since I was her close friend, I know his name," Forest replied, smiling seductively into Nic's face. "Nero. But I don't know much else."
Sam couldn't agree more. The Irish vampiress was nothing but a big, fat snake with oversized breasts and fangs. Fuming at the woman's overt play for Nic, she added hastily, "Nero? He has just one name, kinda like Cher?"
Forest swung back around to face her, her red lips twisting in a sneer. "She met Nero at a Goth bar. Jessie had a couple of dates with him. He gave her a beautiful ruby ring, and she was in love. They hadn't had sex before their last date, which was last night. I don't know what he looked like or his last name. Although, I'm positive he was a supernatural creature—Jessie was rather adamant about never dating humans. So limited in their… abilities." Forest's smile was smug as her gaze swept up and down Sam's body, then dismissive as if Sam were nothing more than a bug on the carpet. It really didn't surprise Sam; apparently Forest was also a bigot, with humanity being beneath dirt-nappers like herself.
"Yeah, I guess vampires don't have to take Viagra to get a nice hard stake in the action," Sam retorted sarcastically, matching the venal vampiress look for look. "Anyway, which Goth club did she meet this Nero guy at?"
Forest shrugged, causing the spaghetti strap on her right shoulder to slip, revealing even more of her abundant cleavage as she ran her fingers down Nic's muscular chest. When she went for his leg, Sam debated briefly on whether she might not just go ahead and knock the vamp's block off, but though she longed to tug the Irish hussy's dress back up and pop Nic one in the kisser, she maintained her stoic expression. Stupid Nic didn't seem to realize he was this vampiress's intended breakfast of champions.
"I think it was that American one—American Gothic. They have some hot hunks there, though not as hot as what I'm sitting by tonight," Forest remarked. Licking her lips she whispered, "Do you taste as good as you look?"
Nic wouldn't be all male if he didn't respond a little to that blatant invitation. He smiled at her wickedly, noting from the corner of his eye Sam's chagrin.
"Probably better," he commented softly, but just loud enough for Sam to hear. Then he added in a more professional tone, "Did Jessie and Nero go to any other places?" His eyes began to sparkle as he now had a place to start tracking his quarry—and also he loved the expression on Sam's face. Sam thought she was being nonchalant, but she had too much passion to carry it off. Right now she was glaring at Forest, clearly despising the fact that the Irish vampiress was all over him.
Normally Nic would have been interested in a vamp this gorgeous, but he had Sam on the brain. She was what he wanted in bed, naked and hot, and her jealousy was only firing his lust. If he wasn't careful, he was going to get aroused right here and now, thinking about Sam.
"Besides American Gothic, Jessie hung out at Bram Stoker's Bar and the Breed Club," Forest said, her tone oozing seduction. "Every vampire who's anybody goes to Bram Stoker's Bar. It's all the rage. And every elite supernatural shows up at American Gothic sometime or another."
Sam shrugged. "So we know now that Nero hangs out at Goth clubs and picks up supernatural females, but we don't know what he looks like," she said, trying hard to ignore the nymphomaniac vampire. Who'd known Nic would be into corpses, even if those corpses had to-die-for bodies and lovely red hair with too much mousse. And why hadn't she brought her paranormal pest kit, inside which she had an assortment of razor-sharp stakes and a bunch of nasty tricks and treats for monsters?
Here the piece breaks off for crystal structures.
........
Record 1
Here is LiNiP3O9 after structural relaxation from the Materials Project database. Energies are from PBE with a Hubbard U. Values from VASP.

Structure (Quantum ESPRESSO input):
```
&SYSTEM
  ibrav = 0, nat = 56, ntyp = 4
/
ATOMIC_SPECIES
Li 6.94 Li.upf
Ni 58.69 Ni.upf
P 30.97 P.upf
O 16.00 O.upf
ATOMIC_POSITIONS angstrom
Li -7.395 2.998 -3.279
Li -7.812 3.072 4.671
Li -4.839 9.257 7.682
Li -6.392 -0.090 7.244
Ni -3.074 4.721 5.745
Ni -7.318 -1.352 2.245
Ni -5.916 4.638 1.471
Ni -10.130 7.230 6.857
P -8.248 -1.482 5.384
P -4.548 -0.058 2.461
P -6.949 4.522 9.464
P -4.011 2.772 3.220
P -5.980 4.367 6.652
P -2.587 7.918 6.274
P -7.703 6.025 5.016
P -4.485 9.456 4.717
P -9.412 0.386 0.580
P -6.067 7.558 3.053
P -11.425 1.473 2.487
P -7.899 2.777 -0.356
O -4.277 -1.267 3.520
O -5.613 3.994 9.922
O -3.935 1.181 3.310
O -4.526 4.477 7.031
O -7.985 3.294 9.504
O -7.781 -1.885 4.015
O -7.823 -0.172 5.979
O -3.747 -0.274 1.214
O -3.668 3.285 4.579
O -7.538 5.713 10.144
O -6.566 3.096 6.119
O -3.245 8.207 7.592
O -2.806 6.602 5.586
O -2.853 3.159 2.174
O -6.043 0.119 2.427
O -6.849 4.894 7.916
O -5.327 3.158 2.593
O -6.253 5.591 5.611
O -9.976 4.294 8.352
O -9.017 -0.631 1.623
O -4.907 8.046 4.034
O -4.558 4.966 0.103
O -8.301 1.548 0.605
O -8.452 6.679 6.139
O -8.307 4.873 4.266
O -5.355 9.733 5.905
O -5.575 6.301 2.416
O -9.656 -0.061 -0.823
O -10.771 2.683 3.079
O -7.064 2.329 -1.520
O -7.399 3.841 0.576
O -7.299 7.237 4.034
O -11.311 5.675 6.756
O -10.747 1.116 1.057
O -6.481 8.716 2.180
O -5.932 6.620 -1.166
CELL_PARAMETERS angstrom
-5.081 4.534 -4.404
-7.000 -4.783 3.151
-1.139 7.867 9.412
```

Energy of formation = -2405 meV/atom
Distance to the lowest polymorph of the same formula = 0.093 eV per atom
Calculated total energy = -373.6 eV for the cell shown
Calculated density = 2.2 g/cm3


Record 2
Here is Ba3Sr5Co3Cu5O20 after structural relaxation from the Materials Project database. Energies are from PBE with a Hubbard U. Values from VASP.

Structure (Quantum ESPRESSO input):
```
&SYSTEM
  ibrav = 0, nat = 144, ntyp = 5
/
ATOMIC_SPECIES
Ba 137.33 Ba.upf
Sr 87.62 Sr.upf
Co 58.93 Co.upf
Cu 63.55 Cu.upf
O 16.00 O.upf
ATOMIC_POSITIONS angstrom
Ba -1.103 -0.518 3.194
Ba -3.173 -5.415 1.529
Ba -5.305 0.117 6.770
Ba -7.442 -4.731 5.121
Ba 0.143 -10.315 1.912
Ba 7.523 -11.892 6.663
Ba 5.384 -6.261 11.881
Ba -0.067 -3.407 0.524
Ba -2.179 -8.253 -1.100
Ba -4.276 -2.679 4.132
Ba -6.369 -7.605 2.481
Ba 2.214 -8.377 12.831
Sr 6.309 -2.199 7.844
Sr 4.154 -7.048 6.277
Sr 1.998 -1.460 11.504
Sr 0.006 -6.399 9.789
Sr 2.343 -5.426 3.703
Sr 9.720 -6.938 8.432
Sr -1.913 -4.715 7.320
Sr -4.123 -9.631 5.700
Sr 3.329 -11.218 10.402
Sr 7.341 -4.942 5.247
Sr 5.265 -9.846 3.594
Sr 3.065 -4.255 8.906
Sr 1.018 -9.110 7.217
Sr 1.223 -2.587 6.330
Sr 8.673 -4.210 11.011
Sr -0.827 -7.510 4.660
Sr 6.480 -9.143 9.420
Sr -3.032 -1.932 9.969
Sr 4.355 -3.531 14.691
Sr -5.106 -6.873 8.298
Co 6.395 -1.967 16.704
Co 4.159 -6.678 15.017
Co 6.325 -12.352 9.708
........
The crystal structures stop here.
"I think he has long black hair and violet eyes," Natasha piped up. Everyone turned to stare at her.
"How do you know this? I thought Jessie hadn't said much to you about him?" Ripley said.
"I'm pretty sure I saw her with him briefly on the last night they met. At least, I think it was him. He was beyond handsome."
"Why do you think it was Nero?" Sam asked.
"Because Jessie loved beauty, and this was a beautiful male. He was assuredly the best-looking person in the bar. And the bar was American Gothic. I left soon after, and then Boris and I went out of town for a few days," Natasha admitted regretfully. "I can't believe I was in the same club as my sister's killer and I didn't rip his heart out!"
"When was this?" Nic asked cautiously, aware of the vamp's fragile state.
"Last Saturday."
"Okay. So now we have a place to start tracking," Alex announced. "And now the bigger question: How do we kill this monster?"
"An interesting thought. No one has run across a problem like this in centuries," Prince Varinski mused, his expression thoughtful.
[Here the article breaks off for records of crystals]
'''
Entry from Materials Project: Y3MnAlS7 after structural relaxation (PBE).

a = 9.7054 Å, b = 9.7054 Å, c = 6.1300 Å
α = 90.00°, β = 90.00°, γ = 120.00°
Closest atoms and distances in Å follow each position.
Element x y z (fractional)
S (0.5779, 0.4835, 0.0027)  1 Al 2.25
S (0.4221, 0.5165, 0.5027)  1 Al 2.25
S (0.3333, 0.6667, 0.0273)  1 Al 2.25
S (0.6667, 0.3333, 0.5273)  1 Al 2.25
S (0.0996, 0.2440, 0.8114)  2 Mn 2.45-2.69
S (0.0944, 0.5779, 0.5027)  1 Al 2.25
S (0.7560, 0.8556, 0.8114)  2 Mn 2.45-2.69
S (0.2440, 0.1444, 0.3114)  2 Mn 2.45-2.69
S (0.5165, 0.0944, 0.0027)  1 Al 2.25
S (0.4835, 0.9056, 0.5027)  1 Al 2.25
S (0.8556, 0.0996, 0.3114)  2 Mn 2.45-2.69
S (0.9056, 0.4221, 0.0027)  1 Al 2.25
S (0.1444, 0.9004, 0.8114)  2 Mn 2.45-2.69
S (0.9004, 0.7560, 0.3114)  2 Mn 2.45-2.69
Y (0.2332, 0.8555, 0.2351)  7 S 2.77-2.93
Y (0.6223, 0.7668, 0.2351)  7 S 2.77-2.93
Y (0.1445, 0.3777, 0.2351)  7 S 2.77-2.93
Y (0.7668, 0.1445, 0.7351)  7 S 2.77-2.93
Y (0.8555, 0.6223, 0.7351)  7 S 2.77-2.93
Y (0.3777, 0.2332, 0.7351)  7 S 2.77-2.93
Mn (0.0000, 0.0000, 0.0285)  6 S 2.45-2.69
Mn (0.0000, 0.0000, 0.5285)  6 S 2.45-2.69
Al (0.3333, 0.6667, 0.6606)  4 S 2.25
Al (0.6667, 0.3333, 0.1606)  4 S 2.25

For the calculated total energy, the calculation gives -6.71 eV per atom. Its space group is P6_3.


Entry from Materials Project: Sc3Mn3Al7Si5 after structural relaxation (PBE).

a = 8.2950 Å, b = 8.2950 Å, c = 8.9718 Å
α = 90.00°, β = 90.00°, γ = 120.00°
Closest atoms and distances in Å follow each position.
Element x y z (fractional)
Si (0.3333, 0.6667, 0.4601)  3 Mn 2.42, 3 Al 2.66, 3 Sc 2.68
Si (0.6667, 0.3333, 0.5399)  3 Mn 2.42, 3 Al 2.66, 3 Sc 2.68
Si (0.1197, 0.5598, 0.7500)  2 Mn 2.40, 4 Al 2.63, 2 Si 2.66
Si (0.5598, 0.1197, 0.2500)  2 Mn 2.40, 4 Al 2.63, 2 Si 2.66
Si (0.4402, 0.5598, 0.7500)  2 Mn 2.40, 4 Al 2.63, 2 Si 2.66
Si (0.3333, 0.6667, 0.0399)  3 Mn 2.42, 3 Al 2.66, 3 Sc 2.68
Si (0.8803, 0.4402, 0.2500)  2 Mn 2.40, 4 Al 2.63, 2 Si 2.66
Si (0.6667, 0.3333, 0.9601)  3 Mn 2.42, 3 Al 2.66, 3 Sc 2.68
Si (0.4402, 0.8803, 0.7500)  2 Mn 2.40, 4 Al 2.63, 2 Si 2.66
Si (0.5598, 0.4402, 0.2500)  2 Mn 2.40, 4 Al 2.63, 2 Si 2.66
Al (0.0000, 0.0000, 0.7500)  6 Al 2.80, 3 Sc 2.88
Al (0.1636, 0.3272, 0.5795)  2 Mn 2.52, 3 Si 2.63-2.66, 3 Al 2.75-2.80
Al (0.6728, 0.8364, 0.5795)  2 Mn 2.52, 3 Si 2.63-2.66, 3 Al 2.75-2.80
Al (0.0000, 0.0000, 0.2500)  6 Al 2.80, 3 Sc 2.88
Al (0.8364, 0.1636, 0.0795)  2 Mn 2.52, 3 Si 2.63-2.66, 3 Al 2.75-2.80
Al (0.8364, 0.6728, 0.0795)  2 Mn 2.52, 3 Si 2.63-2.66, 3 Al 2.75-2.80
Al (0.3272, 0.1636, 0.4205)  2 Mn 2.52, 3 Si 2.63-2.66, 3 Al 2.75-2.80
Al (0.6728, 0.8364, 0.9205)  2 Mn 2.52, 3 Si 2.63-2.66, 3 Al 2.75-2.80
Al (0.1636, 0.8364, 0.5795)  2 Mn 2.52, 3 Si 2.63-2.66, 3 Al 2.75-2.80
Al (0.8364, 0.1636, 0.4205)  2 Mn 2.52, 3 Si 2.63-2.66, 3 Al 2.75-2.80
Al (0.3272, 0.1636, 0.0795)  2 Mn 2.52, 3 Si 2.63-2.66, 3 Al 2.75-2.80
Al (0.8364, 0.6728, 0.4205)  2 Mn 2.52, 3 Si 2.63-2.66, 3 Al 2.75-2.80
'''
[Here the article continues]
"Perseus cut off Medusa's head with a golden sword," Sam mentioned, wishing she had a golden stake to use on Forest. Talk about being unprofessional, she griped silently, hoping that Nic and the vampiress wouldn't decide to copulate on the small sofa in front of company. Wrinkling her nose in disgust, Sam hatefully wished that Nic wouldn't be able to get a woody. If the vamp sent Nic up in flames, she certainly wasn't going to put the Forest fire out. The doof, the doof, the doofus was on fire? She didn't need no water, let the mothasucker burn!